Transcribe the calculation results further down with every line break kept.
=====
Entry 1:
{
  "formula": "C3H6OSn",
  "method": "ωB97M-V/def2-TZVPD",
  "elements": ["Sn", "C", "C", "O", "C", "H", "H", "H", "H", "H", "H"],
  "coordinates": [[-1.864625, -2.110162, -3.010472], [-0.247225, 1.409170, 0.401459], [-0.237936, -0.008422, -0.150853], [-1.048892, -0.278217, -1.034444], [0.818904, -0.939987, 0.397105], [0.696787, 1.560904, 0.924044], [-1.018299, 1.636413, 1.138351], [-0.298403, 2.147680, -0.397774], [1.103468, -1.789913, -0.220462], [0.426730, -1.330471, 1.340536], [1.669491, -0.296995, 0.612511]],
  "forces_ev_per_angstrom": [[0.6, 1.2, 1.4], [0.8, -0.2, 0.2], [0.9, 0.4, 0.8], [-1.2, -1.4, -2.0], [-0.6, 0.6, -0.2], [0.0, 0.1, 0.0], [-0.3, -0.4, -0.2], [-0.2, -0.2, -0.1], [-0.2, 0.1, -0.2], [0.1, 0.1, 0.2], [0.2, -0.4, 0.1]],
  "charge": 2,
  "lumo_energy_ev": -12.56,
  "relative_energy_kcal_mol": 0.00
}



Entry 2:
{
  "formula": "C3H6S",
  "method": "ωB97M-V/def2-TZVPD",
  "elements": ["C", "C", "C", "S", "H", "H", "H", "H", "H", "H"],
  "coordinates": [[-1.120959, -0.627595, 0.068729], [1.826259, 0.872349, -0.714397], [0.950764, 0.049857, -0.086759], [-2.339826, 0.552973, 0.526775], [-0.822389, -1.422058, 0.836670], [-1.290085, -1.076490, -0.889939], [2.837317, 0.835261, -0.425998], [1.538618, 1.645557, -1.423130], [1.221903, -0.770178, 0.455107], [-2.801602, -0.059676, 1.652942]],
  "forces_ev_per_angstrom": [[3.8, -0.1, 0.7], [-3.3, -0.7, 0.6], [-2.2, 1.2, -2.0], [-0.3, -0.1, 0.5], [-0.7, 1.4, -1.0], [0.0, 0.0, -0.4], [1.2, -0.3, 0.2], [-0.1, -0.1, 0.2], [1.3, -1.6, 1.7], [0.3, 0.2, -0.4]],
  "charge": 0,
  "lumo_energy_ev": 0.90,
  "relative_energy_kcal_mol": 77.91
}



Entry 3:
{
  "formula": "C3H6S",
  "method": "ωB97M-V/def2-TZVPD",
  "elements": ["C", "C", "C", "S", "H", "H", "H", "H", "H", "H"],
  "coordinates": [[1.494529, -0.159612, 0.793582], [0.503257, 0.507937, 0.285426], [-0.540876, 0.116266, -0.656065], [-2.202534, 0.786534, 0.068630], [2.327737, 0.324436, 1.298316], [1.637773, -1.291964, 0.550294], [0.419482, 1.641436, 0.549760], [-0.586904, -1.048924, -0.744879], [-0.146274, 0.421936, -1.658670], [-1.462056, 1.771656, 0.654369]],
  "forces_ev_per_angstrom": [[1.7, -3.0, -0.4], [-0.5, 3.4, 0.7], [-0.7, -2.5, -0.4], [2.0, -0.1, -1.0], [-0.4, -0.1, 0.2], [-0.3, 2.1, 0.5], [0.5, -1.9, -0.5], [-0.2, 2.0, 0.4], [-1.3, 0.4, 0.6], [-0.9, -0.3, -0.1]],
  "smiles": "C=CCS",
  "charge": 0,
  "lumo_energy_ev": 1.00,
  "relative_energy_kcal_mol": 23.38
}



Entry 4:
{
  "formula": "C3H6Si",
  "method": "ωB97M-V/def2-TZVPD",
  "elements": ["C", "C", "C", "Si", "H", "H", "H", "H", "H", "H"],
  "coordinates": [[-2.339403, -0.621595, -0.073613], [-1.342838, 0.044541, -0.023591], [-0.116415, 0.768543, -0.088920], [1.458695, -0.311852, -0.000848], [-3.226783, -1.176699, -0.077817], [0.107941, 1.462203, 1.001452], [-0.125172, 1.488954, -0.901904], [1.473240, -1.401289, -0.970724], [1.526639, -0.854776, 1.358225], [2.584098, 0.601971, -0.222263]],
  "forces_ev_per_angstrom": [[0.5, 0.4, 0.2], [-0.6, -0.4, 0.0], [1.7, 1.9, 3.2], [-0.6, 0.5, 0.0], [-0.6, -0.4, 0.0], [-1.0, -1.8, -3.1], [0.2, 0.1, 0.0], [0.0, -0.2, -0.3], [0.0, -0.1, 0.2], [0.2, 0.1, 0.0]],
  "smiles": "C#CC[SiH3]",
  "charge": 0,
  "lumo_energy_ev": 0.96,
  "relative_energy_kcal_mol": 15.88
}



Entry 5:
{
  "formula": "C3H6Si",
  "method": "ωB97M-V/def2-TZVPD",
  "elements": ["C", "C", "C", "Si", "H", "H", "H", "H", "H", "H"],
  "coordinates": [[1.739414, -0.744314, 0.493998], [0.635571, -0.088326, 0.538638], [1.757565, 0.586438, -0.199263], [-2.364272, -0.048170, 0.119788], [2.272910, -1.759064, 0.425254], [2.335982, 1.434882, 0.116556], [1.711941, 0.676415, -1.311059], [-1.787905, -0.306196, -1.252321], [-2.892933, 1.200512, 0.541715], [-3.408275, -0.952174, 0.526694]],
  "forces_ev_per_angstrom": [[0.1, -3.5, 0.1], [1.6, 0.2, 0.3], [-0.3, 1.7, -2.4], [0.4, -1.0, -0.2], [-0.8, 2.1, 0.4], [0.2, 0.2, 1.0], [-0.1, -0.6, 0.6], [-0.4, 0.4, 0.5], [-0.1, 1.4, -0.2], [-0.5, -0.8, -0.1]],
  "charge": 0,
  "lumo_energy_ev": [1.13, -2.30],
=====
Entry 1:
{
  "formula": "C3H6OSn",
  "method": "ωB97M-V/def2-TZVPD",
  "elements": ["Sn", "C", "C", "O", "C", "H", "H", "H", "H", "H", "H"],
  "coordinates": [[-1.864625, -2.110162, -3.010472], [-0.247225, 1.409170, 0.401459], [-0.237936, -0.008422, -0.150853], [-1.048892, -0.278217, -1.034444], [0.818904, -0.939987, 0.397105], [0.696787, 1.560904, 0.924044], [-1.018299, 1.636413, 1.138351], [-0.298403, 2.147680, -0.397774], [1.103468, -1.789913, -0.220462], [0.426730, -1.330471, 1.340536], [1.669491, -0.296995, 0.612511]],
  "forces_ev_per_angstrom": [[0.6, 1.2, 1.4], [0.8, -0.2, 0.2], [0.9, 0.4, 0.8], [-1.2, -1.4, -2.0], [-0.6, 0.6, -0.2], [0.0, 0.1, 0.0], [-0.3, -0.4, -0.2], [-0.2, -0.2, -0.1], [-0.2, 0.1, -0.2], [0.1, 0.1, 0.2], [0.2, -0.4, 0.1]],
  "charge": 2,
  "lumo_energy_ev": -12.56,
  "relative_energy_kcal_mol": 0.00
}



Entry 2:
{
  "formula": "C3H6S",
  "method": "ωB97M-V/def2-TZVPD",
  "elements": ["C", "C", "C", "S", "H", "H", "H", "H", "H", "H"],
  "coordinates": [[-1.120959, -0.627595, 0.068729], [1.826259, 0.872349, -0.714397], [0.950764, 0.049857, -0.086759], [-2.339826, 0.552973, 0.526775], [-0.822389, -1.422058, 0.836670], [-1.290085, -1.076490, -0.889939], [2.837317, 0.835261, -0.425998], [1.538618, 1.645557, -1.423130], [1.221903, -0.770178, 0.455107], [-2.801602, -0.059676, 1.652942]],
  "forces_ev_per_angstrom": [[3.8, -0.1, 0.7], [-3.3, -0.7, 0.6], [-2.2, 1.2, -2.0], [-0.3, -0.1, 0.5], [-0.7, 1.4, -1.0], [0.0, 0.0, -0.4], [1.2, -0.3, 0.2], [-0.1, -0.1, 0.2], [1.3, -1.6, 1.7], [0.3, 0.2, -0.4]],
  "charge": 0,
  "lumo_energy_ev": 0.90,
  "relative_energy_kcal_mol": 77.91
}



Entry 3:
{
  "formula": "C3H6S",
  "method": "ωB97M-V/def2-TZVPD",
  "elements": ["C", "C", "C", "S", "H", "H", "H", "H", "H", "H"],
  "coordinates": [[1.494529, -0.159612, 0.793582], [0.503257, 0.507937, 0.285426], [-0.540876, 0.116266, -0.656065], [-2.202534, 0.786534, 0.068630], [2.327737, 0.324436, 1.298316], [1.637773, -1.291964, 0.550294], [0.419482, 1.641436, 0.549760], [-0.586904, -1.048924, -0.744879], [-0.146274, 0.421936, -1.658670], [-1.462056, 1.771656, 0.654369]],
  "forces_ev_per_angstrom": [[1.7, -3.0, -0.4], [-0.5, 3.4, 0.7], [-0.7, -2.5, -0.4], [2.0, -0.1, -1.0], [-0.4, -0.1, 0.2], [-0.3, 2.1, 0.5], [0.5, -1.9, -0.5], [-0.2, 2.0, 0.4], [-1.3, 0.4, 0.6], [-0.9, -0.3, -0.1]],
  "smiles": "C=CCS",
  "charge": 0,
  "lumo_energy_ev": 1.00,
  "relative_energy_kcal_mol": 23.38
}



Entry 4:
{
  "formula": "C3H6Si",
  "method": "ωB97M-V/def2-TZVPD",
  "elements": ["C", "C", "C", "Si", "H", "H", "H", "H", "H", "H"],
  "coordinates": [[-2.339403, -0.621595, -0.073613], [-1.342838, 0.044541, -0.023591], [-0.116415, 0.768543, -0.088920], [1.458695, -0.311852, -0.000848], [-3.226783, -1.176699, -0.077817], [0.107941, 1.462203, 1.001452], [-0.125172, 1.488954, -0.901904], [1.473240, -1.401289, -0.970724], [1.526639, -0.854776, 1.358225], [2.584098, 0.601971, -0.222263]],
  "forces_ev_per_angstrom": [[0.5, 0.4, 0.2], [-0.6, -0.4, 0.0], [1.7, 1.9, 3.2], [-0.6, 0.5, 0.0], [-0.6, -0.4, 0.0], [-1.0, -1.8, -3.1], [0.2, 0.1, 0.0], [0.0, -0.2, -0.3], [0.0, -0.1, 0.2], [0.2, 0.1, 0.0]],
  "smiles": "C#CC[SiH3]",
  "charge": 0,
  "lumo_energy_ev": 0.96,
  "relative_energy_kcal_mol": 15.88
}



Entry 5:
{
  "formula": "C3H6Si",
  "method": "ωB97M-V/def2-TZVPD",
  "elements": ["C", "C", "C", "Si", "H", "H", "H", "H", "H", "H"],
  "coordinates": [[1.739414, -0.744314, 0.493998], [0.635571, -0.088326, 0.538638], [1.757565, 0.586438, -0.199263], [-2.364272, -0.048170, 0.119788], [2.272910, -1.759064, 0.425254], [2.335982, 1.434882, 0.116556], [1.711941, 0.676415, -1.311059], [-1.787905, -0.306196, -1.252321], [-2.892933, 1.200512, 0.541715], [-3.408275, -0.952174, 0.526694]],
  "forces_ev_per_angstrom": [[0.1, -3.5, 0.1], [1.6, 0.2, 0.3], [-0.3, 1.7, -2.4], [0.4, -1.0, -0.2], [-0.8, 2.1, 0.4], [0.2, 0.2, 1.0], [-0.1, -0.6, 0.6], [-0.4, 0.4, 0.5], [-0.1, 1.4, -0.2], [-0.5, -0.8, -0.1]],
  "charge": 0,
  "lumo_energy_ev": [1.13, -2.30],